Brief:
Could you quote only the last part of the notes underneath, starting with the line that has "among the"?

Contents:
-- begin --
Li2ZrNb: optimized geometry, GGA-PBE.

a = 7.508 Å, b = 7.508 Å, c = 5.907 Å
α = 50.54°, β = 50.54°, γ = 90.00°
Fractional coordinates of all 8 atoms:
Nb  0.000  0.000  0.000
Nb  0.750  0.250  0.500
Zr  0.500  0.500  0.000
Zr  0.250  0.750  0.500
Li  0.631  0.125  0.250
Li  0.119  0.625  0.250
Li  0.375  0.369  0.750
Li  0.875  0.881  0.750

Values from the calculation:
* Fermi-level density of states: 6.99 states/eV per cell
* relative energy among the computed polymorphs: 148 meV per atom
* magnetization: 0.0 μB/cell
* energy: -4.99 eV/atom
* V: 146.0 Å³/cell
-- stop --

Result:
* relative energy among the computed polymorphs: 148 meV per atom
* magnetization: 0.0 μB/cell
* energy: -4.99 eV/atom
* V: 146.0 Å³/cell